[Listing]
-- begin --
The following is a calculated XRD peak list of ReBiO4. It was derived from a DFT-relaxed cell (GGA-PBE, the Materials Project), using Cu Kα (weighted mean of Kα1 and Kα2).
Kinematic intensities with the Lorentz-polarization factor, no thermal factor.

Principal peaks in the range 2θ = 15–90°, sorted by position:
Position (°2θ), I_rel
28.19, 96
28.67, 100
28.96, 19
31.96, 31
37.42, 28
43.67, 18
47.04, 17
50.02, 42
55.75, 29
61.73, 22

abc: 7.912 7.912 5.600
angles: 90.00 90.00 151.74
Atoms (fractional coordinates):
1 Re 0.082 0.918 0.750
2 Re 0.918 0.082 0.250
3 Bi 0.309 0.691 0.750
4 Bi 0.691 0.309 0.250
5 O 0.000 0.000 0.000
6 O 0.000 0.000 0.500
7 O 0.186 0.814 0.517
8 O 0.186 0.814 0.983
9 O 0.411 0.589 0.250
10 O 0.589 0.411 0.750
11 O 0.814 0.186 0.017
12 O 0.814 0.186 0.483

* * * * *

[1]
# NaCa4Mg
Theoretical X-ray powder pattern, Cu Kα. Input: a crystal structure in Alexandria, relaxed with GGA-PBE.
Peak positions follow from Bragg's law for the DFT cell and can differ from measured ones.

Main lines, in order of rising 2θ (2θ = 10–90°):
d = 3.820 Å, 23.3 deg, I 9
d = 3.046 Å, 29.3 deg, I 100
d = 2.803 Å, 31.9 deg, I 45
d = 2.379 Å, 37.8 deg, I 8
d = 2.000 Å, 45.3 deg, I 6
d = 1.982 Å, 45.8 deg, I 15
d = 1.814 Å, 50.3 deg, I 14
d = 1.661 Å, 55.3 deg, I 29
d = 1.628 Å, 56.5 deg, I 9
d = 1.523 Å, 60.8 deg, I 7
d = 1.258 Å, 75.6 deg, I 6
d = 1.254 Å, 75.9 deg, I 6

Atomic structure:
```
NaCa4Mg
1.0
3.9647 0.0000 0.0000
0.0000 3.9647 0.0000
0.0000 0.0000 14.2759
Na Ca Mg
1 4 1
Direct
0.0000 0.0000 0.0000
0.0000 0.0000 0.3635
0.0000 0.0000 0.6365
0.5000 0.5000 0.1752
0.5000 0.5000 0.8248
0.5000 0.5000 0.5000
```

[2]
# Ta3CoS6
Theoretical X-ray powder pattern, Cu Kα. Input: a crystal structure in Alexandria, relaxed with GGA-PBE.
Peak positions follow from Bragg's law for the DFT cell and can differ from measured ones.

Main lines, in order of rising 2θ (2θ = 10–90°):
d = 5.943 Å, 14.9 deg, I 100
d = 2.972 Å, 30.1 deg, I 15
d = 2.890 Å, 30.9 deg, I 64
d = 2.599 Å, 34.5 deg, I 90
d = 2.072 Å, 43.7 deg, I 97
d = 1.669 Å, 55.0 deg, I 31
d = 1.634 Å, 56.3 deg, I 20
d = 1.607 Å, 57.4 deg, I 20
d = 1.404 Å, 66.6 deg, I 14
d = 1.321 Å, 71.4 deg, I 12
d = 1.300 Å, 72.8 deg, I 21
d = 1.110 Å, 88.0 deg, I 17

Atomic structure:
```
Ta3CoS6
1.0
5.7803 0.0000 0.0000
-2.8901 5.0059 0.0000
0.0000 0.0000 11.8861
Ta Co S
6 2 12
Direct
0.0000 0.0000 0.0000
0.0000 0.0000 0.5000
0.3333 0.6667 0.0022
0.3333 0.6667 0.4978
0.6667 0.3333 0.5022
0.6667 0.3333 0.9978
0.3333 0.6667 0.7500
0.6667 0.3333 0.2500
0.0011 0.3333 0.6318
0.0011 0.6678 0.8682
0.3322 0.3333 0.8682
0.3322 0.9989 0.6318
0.3333 0.0011 0.3682
0.3333 0.3322 0.1318
0.6667 0.6678 0.6318
0.6667 0.9989 0.8682
0.6678 0.0011 0.1318
0.6678 0.6667 0.3682
0.9989 0.3322 0.3682
0.9989 0.6667 0.1318
```

[3]
# Rb12O5F
Theoretical X-ray powder pattern, Cu Kα. Input: a crystal structure in Alexandria, relaxed with GGA-PBE.
Peak positions follow from Bragg's law for the DFT cell and can differ from measured ones.

Main lines, in order of rising 2θ (2θ = 10–90°):
d = 7.881 Å, 11.2 deg, I 100
d = 3.941 Å, 22.6 deg, I 15
d = 3.558 Å, 25.0 deg, I 41
d = 3.314 Å, 26.9 deg, I 100
d = 2.998 Å, 29.8 deg, I 50
d = 2.679 Å, 33.4 deg, I 52
d = 2.627 Å, 34.1 deg, I 17
d = 2.385 Å, 37.7 deg, I 14
d = 2.110 Å, 42.9 deg, I 14
d = 2.090 Å, 43.3 deg, I 39
d = 1.734 Å, 52.8 deg, I 17
d = 1.725 Å, 53.1 deg, I 26

Atomic structure:
```
Rb12O5F
1.0
3.6506 -6.3291 0.0000
3.6506 6.3291 0.0000
-0.0325 0.0000 15.7626
Rb O F
12 5 1
Direct
0.0005 0.3338 0.0855
0.9995 0.6662 0.9145
0.1534 0.1534 0.4101
0.1546 0.5006 0.5899
0.3331 0.3331 0.9144
0.3338 0.0005 0.0855
0.4994 0.8454 0.4101
0.5006 0.1546 0.5899
0.6662 0.9995 0.9145
0.6669 0.6669 0.0856
0.8454 0.4994 0.4101
0.8466 0.8466 0.5899
0.0000 0.0000 0.0000
0.1666 0.8334 0.5000
0.3333 0.6667 0.0000
0.6667 0.3333 0.0000
0.8334 0.1666 0.5000
0.5000 0.5000 0.5000
```

* * * * *

Entry 1:
-- stop --

[Exercise]
Restate every line further up that contains the word "Atoms", please.

[Outcome]
Atoms (fractional coordinates):